Winghead shark vertebrae collected for the project, hanging out to dry at the fishing camp. Photo © Yolarnie Amepou | Piku Biodiversity Network
The murky depths of Papua New Guinea’s Kikori River hide a secret – the endangered winghead shark. This unique freshwater dweller plays a vital role in the ecosystem, but scientists lack crucial knowledge about its age and growth, hindering conservation efforts. The Piku Biodiversity Network, funded by the Save Our Seas Foundation, is working with Dr. Michael Grant to bridge this gap.
Bycaught winghead sharks measured upon arrival at fishing camp where they are brought to keep them out of the water during the fishing tide which last 4 to 5 days a month. Photo © Yolarnie Amepou | Piku Biodiversity Network
Research is difficult due to the elusive nature of the winghead shark and the challenging Kikori environment. Traditional methods for determining shark age are unreliable for this species, leaving scientists in the dark about population health. Recognising this urgency, the Piku Network is now actively involved.
[Misplaced crystal structures]
********
The following is a PBE-GGA calculation of a geometry-optimized TiSnCl structure, from Alexandria.

Cell and atoms, written as CIF:
```
data_TiSnCl
_chemical_formula_sum 'Ti4 Sn4 Cl4'
_symmetry_space_group_name_H-M 'C 1 2/m 1'
_symmetry_Int_Tables_number 12
_symmetry_space_group_name_Hall '-C 2y'
_cell_length_a 10.703
_cell_length_b 3.145
_cell_length_c 9.660
_cell_angle_alpha 90.00
_cell_angle_beta 113.09
_cell_angle_gamma 90.00
loop_
_atom_site_label
_atom_site_type_symbol
_atom_site_fract_x
_atom_site_fract_y
_atom_site_fract_z
_atom_site_occupancy
Ti1 Ti 0.205 0.000 0.151 1
Sn1 Sn 0.038 0.500 0.871 1
Cl1 Cl 0.183 0.000 0.650 1
```

Summary:
The total energy is -5.265 eV per atom.

***

The following is a PBE-GGA calculation of a geometry-optimized PbAuI3 structure, from Alexandria.

Cell and atoms, written as CIF:
```
data_PbAuI3
_chemical_formula_sum 'Pb4 Au4 I12'
_symmetry_space_group_name_H-M 'P 1 21/c 1'
_symmetry_Int_Tables_number 14
_symmetry_space_group_name_Hall '-P 2ybc'
_cell_length_a 7.557
_cell_length_b 8.284
_cell_length_c 14.375
_cell_angle_alpha 90.00
_cell_angle_beta 120.54
_cell_angle_gamma 90.00
loop_
_atom_site_label
_atom_site_type_symbol
_atom_site_fract_x
_atom_site_fract_y
_atom_site_fract_z
_atom_site_occupancy
Pb1 Pb 0.170 0.103 0.247 1
Au1 Au 0.168 0.616 0.077 1
I1 I 0.120 0.175 0.925 1
I2 I 0.247 0.689 0.914 1
I3 I 0.429 0.061 0.753 1
```

Summary:
As for the energy above the most stable polymorph in this dataset: 0.053 eV per atom.

***

The following is a PBE-GGA calculation of a geometry-optimized MgBeZn3 structure, from Alexandria.

Cell and atoms, written as CIF:
```
data_MgBeZn3
_chemical_formula_sum 'Mg1 Be1 Zn3'
_symmetry_space_group_name_H-M 'P m -3 m'
_symmetry_Int_Tables_number 221
_symmetry_space_group_name_Hall '-P 4 2 3'
_cell_length_a 5.035
_cell_length_b 5.035
_cell_length_c 5.035
_cell_angle_alpha 90.00
_cell_angle_beta 90.00
_cell_angle_gamma 90.00
loop_
_atom_site_label
_atom_site_type_symbol
_atom_site_fract_x
_atom_site_fract_y
_atom_site_fract_z
_atom_site_occupancy
Mg1 Mg 0.000 0.000 0.000 1
Be1 Be 0.500 0.500 0.500 1
Zn1 Zn 0.000 0.000 0.500 1
```

Summary:
As for the energy above the most stable polymorph in this dataset: 0.871 eV per atom. The calculation puts the energy of formation from the pure elements at 1.09 eV/atom.

***

The following is a PBE-GGA calculation of a geometry-optimized KMnAl structure, from Alexandria.

Cell and atoms, written as CIF:
```
data_KMnAl
_chemical_formula_sum 'K4 Mn4 Al4'
_symmetry_space_group_name_H-M 'F -4 3 m'
_symmetry_Int_Tables_number 216
_symmetry_space_group_name_Hall 'F -4 2 3'
_cell_length_a 7.415
_cell_length_b 7.415
_cell_length_c 7.415
_cell_angle_alpha 90.00
_cell_angle_beta 90.00
_cell_angle_gamma 90.00
loop_
_atom_site_label
_atom_site_type_symbol
_atom_site_fract_x
_atom_site_fract_y
_atom_site_fract_z
_atom_site_occupancy
K1 K 0.000 0.000 0.000 1
Mn1 Mn 0.250 0.250 0.750 1
Al1 Al 0.250 0.250 0.250 1
```

Summary:
********
Fishers assisting their village designated winghead shark recorder with the measuring of bycaught winghead sharks. Photo © Yolarnie Amepou | Piku Biodiversity Network
A key approach involves close collaboration with the local fishing communities. By monitoring their catches and collecting data on opportunistically caught winghead sharks under researcher supervision, valuable scientific data is gathered. Information on size, sex, maturity stage, and even reproduction is meticulously documented. This not only provides crucial scientific information but also fosters a sense of responsibility for the winghead shark population within the communities. Participating in data collection empowers these communities to identify potential problems and initiate discussions about community-led conservation efforts.
Winghead vertebrae and fin samples hanging beside fishmaw, the product whose fishery is causing the demise of the winghead sharks in the tens of thousands across the Gulf of Papua, Papua New Guinea. Photo © Yolarnie Amepou | Piku Biodiversity Network
The urgency is heightened by alarming bycatch numbers. During fishing season (November-March), winghead sharks are unintentionally caught in the thousands. This emphasises the need for a deeper understanding of the population to ensure its survival.
Fisher Julie, showing her nets to be soaked in water during the fishing tide in the Kikori delta. Photo © Yolarnie Amepou | Piku Biodiversity Network
Understanding the winghead shark’s age, growth patterns, and reproductive capabilities is crucial for its conservation. With this knowledge, scientists can assess threats like the recent swim bladder fishery, a major contributor to bycatch. By understanding the population’s age structure, reproductive potential, and overall health, researchers can predict how sustainable fishing practices can be implemented or how stricter regulations might be needed.
A family prepares Winghead samples for the project. The wife measures, the husband records while the children watch on. Photo © Yolarnie Amepou | Piku Biodiversity Network
**Here the text breaks off for crystal structures**
........
ReTcAu2 at its PBEsol-relaxed geometry. Source: Alexandria, functional SCAN.

a b c (Å): 2.7960 2.7960 8.0186
angles (deg): 90.00 90.00 90.00
Fractional coordinates of all 4 atoms:
Au 0.5000 0.5000 0.2610
Au 0.0000 0.0000 0.9887
Tc 0.5000 0.5000 0.7293
Re 0.0000 0.0000 0.5210

Values from the calculation:
- Magnetization: 0.0 μB per formula unit
- Crystal system: tetragonal
- Theoretical density: 18.0 g/cm³
- Formation enthalpy at 0 K: 0.160 eV per atom


meta-GGA SCAN Ce2Ga12Cu, PBEsol geometry; ΔH_f (0 K) = -39 kJ/mol of atoms; D(E_F) = 7.66 states/eV/f.u.; V = 546.7 Å³/cell
1.0
6.0220 0.0000 0.0000
0.0000 6.0220 0.0000
0.0000 0.0000 15.0743
Ga Ce Cu
24 4 2
Cartesian
4.5181 1.5071 1.2990 Ga
4.5181 4.5149 13.7753 Ga
4.0429 1.0319 6.4534 Ga
3.0110 3.0110 9.9409 Ga
1.9791 4.9900 6.4534 Ga
0.0000 0.0000 5.1334 Ga
4.5149 4.5181 1.2990 Ga
1.5071 4.5181 13.7753 Ga
1.0319 4.0429 8.6209 Ga
0.0000 0.0000 12.3418 Ga
1.9791 1.0319 8.6209 Ga
3.0110 3.0110 2.7325 Ga
4.5149 1.5039 13.7753 Ga
1.5039 4.5149 1.2990 Ga
3.0110 3.0110 12.3418 Ga
4.9900 1.9791 8.6209 Ga
0.0000 0.0000 2.7325 Ga
4.9900 4.0429 6.4534 Ga
1.5039 1.5071 13.7753 Ga
1.5071 1.5039 1.2990 Ga
4.0429 4.9900 8.6209 Ga
3.0110 3.0110 5.1334 Ga
1.0319 1.9791 6.4534 Ga
0.0000 0.0000 9.9409 Ga
0.0000 3.0110 3.6798 Ce
3.0110 0.0000 3.6798 Ce
3.0110 0.0000 11.3945 Ce
0.0000 3.0110 11.3945 Ce
0.0000 3.0110 0.0000 Cu
3.0110 0.0000 0.0000 Cu


(1)
DFT (meta-GGA SCAN) results for BeP2SCl at its PBEsol-relaxed geometry.

abc: 4.057 4.402 4.402
angles: 90.00 90.00 90.00
Element x y z (fractional)
Cl  0.500  0.500  0.500
S  0.500  0.000  0.000
P  0.000  0.500  0.000
P  0.000  0.000  0.500
Be  0.000  0.000  0.000

Values from the calculation:
- DFT total energy: -7.837 eV/atom

=====

(2)
DFT (meta-GGA SCAN) results for BeSbP2Cl at its PBEsol-relaxed geometry.

abc: 4.184 4.515 4.515
angles: 90.00 90.00 90.00
Element x y z (fractional)
P  0.000  0.000  0.500
P  0.000  0.500  0.000
Sb  0.500  0.500  0.500
Cl  0.500  0.000  0.000
Be  0.000  0.000  0.000

Values from the calculation:
- DFT total energy: -13.698 eV/atom

=====

(3)
DFT (meta-GGA SCAN) results for BeP2SeCl at its PBEsol-relaxed geometry.

abc: 4.060 4.471 4.471
angles: 90.00 90.00 90.00
Element x y z (fractional)
P  0.000  0.500  0.000
P  0.000  0.000  0.500
Se  0.500  0.500  0.500
Be  0.000  0.000  0.000
Cl  0.500  0.000  0.000

Values from the calculation:
- DFT total energy: -10.113 eV/atom

=====

(4)
DFT (meta-GGA SCAN) results for SrBePCl2 at its PBEsol-relaxed geometry.

abc: 4.447 4.715 4.715
angles: 90.00 90.00 90.00
Each line ends with the local moment (μB).
Element x y z (fractional)
Sr  0.500  0.500  0.500  0.02
P  0.500  0.000  0.000  0.37
Cl  0.000  0.000  0.500  0.07
Be  0.000  0.000  0.000  -0.02
Cl  0.000  0.500  0.000  0.07

Values from the calculation:
- DFT total energy: -11.636 eV/atom

=====

(5)
DFT (meta-GGA SCAN) results for SrBeP2Cl at its PBEsol-relaxed geometry.

abc: 5.297 5.624 5.624
angles: 90.00 90.00 90.00
........
The knowledge gained extends beyond the Kikori. Winghead sharks are just one of many freshwater shark species facing similar threats. The lessons learned here can be applied to other vulnerable species, informing conservation strategies across diverse ecosystems. The plight of the winghead shark serves as a reminder of our interconnected world. By actively addressing the knowledge gap, the Piku Biodiversity Network, the Save Our Seas Foundation, and Dr. Michael Grant are working towards a future where the unique biodiversity of the Kikori thrives.
-- The entry is interrupted by records of crystals --
- - -
AlFePO5 | PBE+U | relaxed

Unit cell a=7.225 b=10.650 c=5.560 alpha=90.00 beta=98.03 gamma=90.00
Space group P2_1/c (No. 14)
One atom of each set of equivalent atoms:
1 Al 0.142 0.174 0.445 x4
2 Fe 0.484 0.144 0.889 x4
3 P 0.277 0.597 0.071 x4
4 O 0.103 0.673 0.113 x4
5 O 0.218 0.018 0.405 x4
6 O 0.231 0.224 0.741 x4
7 O 0.379 0.548 0.319 x4
8 O 0.410 0.681 0.944 x4

Electronic total energy = -7.32 eV/atom
Volume = 13.2 Å³ per atom


First-principles (GGA-PBE) data for an optimized crystal structure of Zr2InNi6, as listed in the Alexandria database.

As for the energy relative to the elements: -0.27 eV/atom.

The structure belongs to space group P-3m1 (No. 164); the cell edges are 5.1590, 5.1590 and 5.7183 Å and the angles 90.00°, 90.00° and 120.00°. The asymmetric unit holds Zr at (0.3333, 0.6667, 0.3147), In at (0.0000, 0.0000, 0.5000) and Ni at (0.1786, 0.3571, 0.8412).


A plane-wave DFT calculation with PBE was carried out for an optimized crystal structure of Li8SnBi5.

Cell lengths 8.281, 8.281, 9.308 Å; angles 90.00, 90.00, 90.00 degrees
Space group I-4 (No. 82)
Symmetry-distinct sites (fractional):
Li: 0.075 0.154 0.222 (multiplicity 8)
Li: 0.087 0.332 0.634 (multiplicity 8)
Sn: 0.000 0.500 0.250 (multiplicity 2)
Bi: 0.000 0.000 0.500 (multiplicity 2)
Bi: 0.169 0.244 0.931 (multiplicity 8)

Values from the calculation:
energy relative to the elements = -0.298 eV per atom



A plane-wave DFT calculation with PBE was carried out for an optimized crystal structure of ZnHg2F4.

Cell lengths 4.049, 4.049, 13.529 Å; angles 90.00, 90.00, 90.00 degrees
Space group I4/mmm (No. 139)
Symmetry-distinct sites (fractional):
Zn: 0.000 0.000 0.000 (multiplicity 2)
Hg: 0.000 0.000 0.342 (multiplicity 4)
F: 0.000 0.000 0.155 (multiplicity 4)
F: 0.000 0.500 0.000 (multiplicity 4)

Values from the calculation:
raw formation energy = -1417 meV per atom



A plane-wave DFT calculation with PBE was carried out for an optimized crystal structure of BaTl2PdF8.

Cell lengths 5.8791, 5.8791, 7.4547 Å; angles 90.00, 90.00, 120.00 degrees
Space group P-3m1 (No. 164)
Symmetry-distinct sites (fractional):
Ba: 0.0000 0.0000 0.0000 (multiplicity 1)
Tl: 0.3333 0.6667 0.3243 (multiplicity 2)
Pd: 0.0000 0.0000 0.5000 (multiplicity 1)
F: 0.1486 0.2971 0.6689 (multiplicity 6)
F: 0.3333 0.6667 0.0078 (multiplicity 2)

Values from the calculation:
raw formation energy = -2017 meV per atom



Number 3 is which compound? BaTl2PdF8



Please write out number 2 again, unchanged.
A plane-wave DFT calculation with PBE was carried out for an optimized crystal structure of ZnHg2F4.

Cell lengths 4.049, 4.049, 13.529 Å; angles 90.00, 90.00, 90.00 degrees
Space group I4/mmm (No. 139)
Symmetry-distinct sites (fractional):
Zn: 0.000 0.000 0.000 (multiplicity 2)
Hg: 0.000 0.000 0.342 (multiplicity 4)
F: 0.000 0.000 0.155 (multiplicity 4)
F: 0.000 0.500 0.000 (multiplicity 4)

Values from the calculation:
raw formation energy = -1417 meV per atom
- - -
A photo of Ewamu fishing camp in the Kikori River Delta in the 2023 fishing season which begins in November. Photo © Yolarnie Amepou | Piku Biodiversity Network